Tuesday, March 31, 2009

URLs from 3/31/09

The Help Desk Podcast for 3/31/09 is now available.

Caller recommendations for Mac & Windows and Cell phone syncing -- files, podcasts, etc. on either platform, at home & on the road

--NEW: See this helpful blog entry by Help Desk listener/caller Rich

Conficker virus MAY cause problems on April 1, 2009

Sophos Warns about new Mac Trojan RSPlug-F Trojan

--Sophos web site

Caller recommends Sugarsync for Mac & Windows and Cell phone syncing -- files, podcasts, etc. on either platform, at home & on the road

Laserwriter 16/600 "Paper Empty" light
--http://www.freeprintermanuals.com/PM/Apple LaserWriter 16 600 PS Service Source.pdf
--Paper Sensors are photo sensors. Paper sensors consist of an actuator, a U-shaped photo interrupter, and circuitry. Sensors are tripped as the actuator swings against movement of paper and blocks the gap of the U. An actuator can be passive (governed by gravity) or spring-loaded.
--Note: Sensor failure can be either mechanical or electrical. When troubleshooting sensors, first confirm that the arm Photointerrupter or lever moves freely without snagging, that any springs are applying correct resistance, and that the actuator is not broken. Then check that all cable connections are secure. If you have eliminated mechanical issues, proceed with electrical troubleshooting.

[Attached: data records]
+++
TaTiCrO6 after structural relaxation. Source: the Materials Project, functional PBE with a Hubbard U.

Lattice parameters (Å, degrees): 4.6916 10.2204 9.3805 62.68 90.00 90.00
Closest atoms and distances in Å follow each position.
Fractional coordinates of all 36 atoms:
Ta: 0.5000 0.8341 0.8330  6 O 1.98-2.02
Ta: 0.5000 0.8341 0.3330  6 O 1.98-2.02
Ta: 0.0000 0.3341 0.3330  6 O 1.98-2.02
Ta: 0.0000 0.3341 0.8330  6 O 1.98-2.02
Ti: 0.5000 0.4981 0.0009  6 O 1.95-2.00
Ti: 0.5000 0.4981 0.5009  6 O 1.95-2.00
Ti: 0.0000 0.9982 0.0009  6 O 1.95-2.00
Ti: 0.0000 0.9982 0.5009  6 O 1.95-2.00
Cr: 0.5000 0.1671 0.1664  6 O 2.02-2.03
Cr: 0.0000 0.6671 0.1664  6 O 2.02-2.03
Cr: 0.5000 0.1671 0.6664  6 O 2.02-2.03
Cr: 0.0000 0.6671 0.6664  6 O 2.02-2.03
O: 0.1939 0.1658 0.0139  1 Ti 1.99, 1 Ta 2.00, 1 Cr 2.03
O: 0.1939 0.1658 0.5139  1 Ti 1.99, 1 Ta 2.00, 1 Cr 2.03
O: 0.8063 0.1659 0.3204  1 Ti 1.99, 1 Ta 1.99, 1 Cr 2.03
O: 0.8064 0.1659 0.8204  1 Ti 1.99, 1 Ta 1.99, 1 Cr 2.03
O: 0.3061 0.6658 0.0139  1 Ti 1.99, 1 Ta 2.00, 1 Cr 2.03
O: 0.3061 0.6658 0.5139  1 Ti 1.99, 1 Ta 2.00, 1 Cr 2.03
O: 0.6936 0.6659 0.8204  1 Ti 1.99, 1 Ta 1.99, 1 Cr 2.03
O: 0.6937 0.6659 0.3204  1 Ti 1.99, 1 Ta 1.99, 1 Cr 2.03
O: 0.1991 0.4973 0.8508  1 Ta 1.98, 1 Ti 2.00, 1 Cr 2.03
O: 0.1991 0.4973 0.3508  1 Ta 1.98, 1 Ti 2.00, 1 Cr 2.03
O: 0.8009 0.4973 0.1519  1 Ta 1.98, 1 Ti 2.00, 1 Cr 2.03
O: 0.8009 0.4973 0.6519  1 Ta 1.98, 1 Ti 2.00, 1 Cr 2.03
O: 0.3009 0.9973 0.8508  1 Ta 1.98, 1 Ti 2.00, 1 Cr 2.03
O: 0.3009 0.9973 0.3508  1 Ta 1.98, 1 Ti 2.00, 1 Cr 2.03
O: 0.6991 0.9973 0.6519  1 Ta 1.98, 1 Ti 2.00, 1 Cr 2.03
O: 0.6991 0.9973 0.1519  1 Ta 1.98, 1 Ti 2.00, 1 Cr 2.03
O: 0.1957 0.8373 0.6791  1 Ti 1.95, 1 Cr 2.02, 1 Ta 2.02
O: 0.1957 0.8373 0.1791  1 Ti 1.95, 1 Cr 2.02, 1 Ta 2.02
O: 0.8046 0.8371 0.9836  1 Ti 1.95, 1 Cr 2.02, 1 Ta 2.02
O: 0.8046 0.8371 0.4836  1 Ti 1.95, 1 Cr 2.02, 1 Ta 2.02
O: 0.3043 0.3373 0.1791  1 Ti 1.95, 1 Cr 2.02, 1 Ta 2.02
O: 0.3043 0.3373 0.6791  1 Ti 1.95, 1 Cr 2.02, 1 Ta 2.02
O: 0.6954 0.3371 0.9836  1 Ti 1.95, 1 Cr 2.02, 1 Ta 2.02
O: 0.6954 0.3371 0.4836  1 Ti 1.95, 1 Cr 2.02, 1 Ta 2.02

For the total energy, the calculation gives -9.01 eV per atom. Its corrected total energy (MP2020 scheme) is -9.687 eV per atom. The formation energy is -28.09 eV/f.u. The calculation puts the calculated volume at 11.10 A^3/atom. Its magnetic moment is 0.00 Bohr magnetons per cell.

LiV2O3F3 after structural relaxation. Source: the Materials Project, functional PBE with a Hubbard U.

Lattice parameters (Å, degrees): 5.1108 5.1433 13.5072 88.34 88.88 61.44
Closest atoms and distances in Å follow each position.
Fractional coordinates of all 27 atoms:
Li: 0.6895 0.6527 0.3744  2 F 2.02-2.05, 2 O 2.03-2.07
Li: 0.3394 0.3237 0.0381  2 F 1.99-2.19, 2 O 2.03-2.04
Li: 0.0290 0.9863 0.7092  2 F 2.02-2.06, 3 O 2.05-2.26
V: 0.6857 0.6783 0.6665  1 O 1.71
V: 0.9715 0.0220 0.4869  2 O 1.73-1.85
V: 0.9883 0.9847 0.0033  3 O 1.86-2.03, 3 F 1.98-2.07
+++
[Here the article continues]

Can't change background color in XP Desktop/May be damaged Profile in Windows

Thursday, March 26, 2009


From Cleve, 3/26/09:

Those of you, like me, who have used the tax preparation software TurboTax by Intuit in the past may have been frustrated and surprised trying to find the 2008 tax year version at either Intuit.com or TurboTax.com. From the options given, it may appear that TurboTax has migrated to become an online-only product. Not true; the desktop version, which I much prefer, is still available, but it's not easy to find.

I realized a desktop version must exist after reading through a number of posts in the Technical Support section (which wasn't easy to find, either; it's buried at the bottom of a page trying to get you to sign up for tax advice at $29.95 per session). Some of the posts referred to either the Online or Desktop version. I Googled a few phrases and finally got best results by searching for "turbotax desktop" (no quotes). To save you the trouble, here is the link you need:
Not only is the desktop version my preference (more on this below), it's also a lot cheaper. For the Deluxe version, the online cost starts at $29.95 but only IF you file by March 27; after that it's $49.95. Add a state and you pay another $34.95. But the desktop version, which includes both federal and state, is $59.95.

In my view there are other compelling reasons to choose the desktop over the online:
  1. It's much faster, especially if you're trying to do it over wireless. I downloaded the desktop over a DSL Ethernet connection in less than 3 minutes.
  2. It doesn't require you to upload your sensitive personal or financial information.
  3. In theory you can upload your old information from your 2007 TurboTax. However, that's not clear in the online version. And once you start entering ANY data, including your name, you can't go back and overwrite it with the 2007 data.
    But WAIT; THERE'S MORE . . .
  4. Intuit does a terrible job of letting you know about problem #3. It's there in a user forum as the advice voted the best by the thousands of others who asked this question. And what is the advice? Essentially, "Well, you can't do that, even though they say you can." In my opinion, this is woefully unsatisfactory customer service on Intuit's part.
I've used TurboTax since 1998 (when it was called MacInTax). With a couple of exceptions, each year it's gotten better and easier. Now that I've finally figured out how to get the desktop version for 2008 running, I guess I'll stay with it, but you can bet I'll look at other options, and start a lot earlier, next year.

Tuesday, March 24, 2009

URLs from 3/24/09


The podcast is recorded each Tuesday morning at 9 am ET and available shortly after that time. Send us your email question.

Questions from 3/24/09:

Scott Morse's unofficial WMUB fans site

Slow loading of podcast reported in iTunes, Juice
--We still do not know what the answer to this is. Not everyone experiences it. We seem to be doing everything correctly in preparation. See our Podcast Frequently Asked Questions for suggestions on workarounds:

IE 8- Does not get a great rating

Mac Gest hacked

Problem with Magic Jack & Roxio

Juice Newton

OnLive could threaten Xbox, PS3, and Wii

Tuesday, March 17, 2009

URLs from 10/17/09

The Help Desk podcast location, including 3/17/09's show, is:

Send your Help Desk questions to:
--helpradio (AT) wmub.org [substitute @ for (AT) -- address altered to foil spammers]

Questions from 3/17/09:

De-authorizing iTunes accounts
--You can de-authorize all accounts from any computer with iTunes
--Then re-authorize one at a time

Beefing up a wireless router

Will Windows 7 beta expire in August and leave users hanging?
--It appears not. Rumor sites have suggested that Windows 7 may be released as early as July. If not, we believe Microsoft would extend the valid period for the beta release.

Apple's Mighty Mouse
--Programming your Mighty Mouse (Mac)
--Two 3rd party software application that allow you to program your mouse (Mac) based on the application
--Steermouse (Mac)
--USB Overdrive (Mac)

Monday, March 16, 2009

Podcast Questions and Answers (3/16/09)

Our new podcast-only format has generated a lot of questions. Here are the most common, and our best answers:

I've never listened to a podcast. How do I get started?
--There are several ways. One place to start would be pasting the podcast URL into your web browser:

--You should see a screen that displays the individual elements. Shows before 2/28/09 have 4 segments each; beginning with 3/10/09, 1 segment each. Different browsers display differently, but you may have the following options:
  • Simply play an episode by clicking it.
    You'll need to revisit the URL each week, though.
  • Add the podcast to a podcast reader.
    You might have choices such as Apple's free iTunes, and might be prompted to select other readers in your system. Once logged in, the podcast should update each week.
  • Manually subscribe via iTunes.
    Go to Advanced > Subscribe to Podcast and paste in the URL above.
  • Subscribe via an RSS feed.
    This lets you set a bookmark in your browser, which automatically updates.
My browser displays gibberish at the podcast URL.
--This is usually the sign of an older browser. Modern versions if Firefox and Safari for both the Mac and PC, and IE for the PC don't seem to have any problems.

How can I get the podcast into my iPod?
--See instructions above for gettting the podcast into iTunes. When you set up your syncing preferences, make sure that podcasts sync.

My reader will not completely download the podcast.
--A couple of people have reported problems, one with iTunes and one with Juice. We don't really have a good answer yet. It's possible there is a firewall issue with your ISP and the Miami University server which houses the podcasts.

Are you streaming live on the web?
--No, the podcast is strictly a volunteer labor of love among the creators, and we don't have the funds to purchase streaming bandwidth. When Miami operated WMUB, that was part of the service.

What happened to "Duke of Earl" and the other music?
--The simple answer is that we no longer have the rights to use commercially-recorded music. When we were broadcasting live on WMUB, music copyrights were paid which allowed streaming and podcasting of programs that originated on the air. Since we are no longer on the air, those rights don't apply. The question of internet rights is very complex right now, with negotiations between broadcasters, podcasters, representatives of songwriters and of artists each staking out different positions.

Thank you for the podcasts! (3/16/09)

Since announcing the new Help Desk Podcast (details here), we have received many messages of congratulations, thank-yous, and best wishes. Here is a sample:

Count me in! -- Mike

I just listened to your first [podcast-only show] and it was great! I thought I'd never hear that up-beat banter paired with good technical advice again and it was the one WMUB program I missed most. . . . Keep up the great work! -- 'fariswheel'

Even though I left the Oxford area (for Columbus) going on two years ago, I have fond memories of WMUB and especially the Help Desk Show, and I "tuned in" occasionally via the 'Net. -- Bill from Columbus

I will continue to look for wacky tech news from you! -- Lee

It sure is good to know that you are still in the business of helping those of us who get stuck with computer questions. Thanks for doing this for us. It's sure a shame that you had to had to go off of the air but I understand as the dollar dictates what happens these days. -- David

I am so glad you guys are still galloping to the rescue of of neophytes out in the boondocks. I miss you and am glad to continue monitoring the blog when I can. Thanks for the memories and good fellowship and yes the advice too. -- Jim

Sorry for the loss of "The Help Desk" as it has been. Glad to hear of an effort to get at least part of it back. Please keep me on the e-mail list. -- Don from Richmond

Thanks for the info re: you new help desk blog. Not sure if I'll be able to listen on my computer as we have dial-up only service out here in the country. ... Wanted to take this opportunity to say how much I enjoyed listening to the Help Desk these past 8 or 9 years. You provided all of us out here loads of computer info and quite a few chuckles, also. Frankly, I miss listening to all of you at WMUB. Your "hometown" flavor and wonderful personalities helped make each day brighter and we came away better informed and happier as a result. ... Here's to all of you at the Help Desk Blog a great big wish for much success with your new show. You deserve all the best. -- Betty

Great news about continuing the show via podcasts. Now I'll have to figure out how to use them. But who can I call? -- Chris from Brookville, OH
--[See our new page of Podcast Questions and Answers. --Ed.]

Thanks for continuing your show via podcast. I am thrilled you are on the air for now. I have found out how to listen online through my web browser. Is there a way to find it and download it in iTunes so I can put it on my iPod? ... Thanks so muich for putting all the old archives up on the helpdesk blog. -- Kris from Richmond
--[See our new page of Podcast Questions and Answers. --Ed.]

Great to hear that you are going to try to keep the Help Desk going. ... I will try to get into scheduling getting to the podcast during lunch on Tuesday. -- Stan

Good to hear that you are going to keep the Help Desk going. ... I'd like to help out if I can . . . with LINUX-related questions. Send them my way and I'll send you back an answer. -- AJK from Miami U.

Tuesday, March 10, 2009

URLs from 3/10/09

--It will be available sometime on Tuesday 3/10/09. Click on this link, or type it in your Podcast aggregator:

Rugged laptop by Dell

Screen going blank when switching users

Sansa disk won't ply from USB hub

POP mail from your hotmail account


Push to make iPhone available from other carriers ( The Consumers Union, the New America Foundation, and the Electronic Frontier Foundation)

New Mac Mini released

The Help Desk URL

How to manage drive letter assignments in Windows XP